Decorations are a vital component of a modern-day wedding. The right decor creates a welcoming, fun and lively atmosphere that couples and their guests will appreciate. But when you’re busy creating a guest list, hiring vendors, scouting venues and performing the countless number of other tasks needed to plan a wedding, it’s easy to overlook the decor. Don’t worry, because we’re going to reveal some of the top wedding decorations in today’s blog post.

Ice Sculptures

If you really want to create the perfect backdrop for photos at your wedding, consider decorating it with a hand-crafted ice sculpture. Whether it’s twin swans, hearts or a monogram, this is a unique and innovative decorative piece that’s sure to leave a lasting impression.

Many couples disregard ice sculpture decorations in their wedding, believing it’s too expensive. In reality, though, it’s actually quite affordable, especially if you hire the right sculptor. According to the website CostHelper, ice sculptures cost about $45 for small pieces, $300 for medium, and $1,000 or more for large, elaborate pieces. Considering that the average wedding now costs more than $30,000, that’s a drop in the bucket.

Chalkboard ‘Welcome’ Sign

Another innovative decoration for weddings is a chalkboard “welcome” sign. Aside from the aesthetic value of using a chalkboard welcome sign in your wedding, it may also help guests find the venue. If your wedding venue is next to another business, some guests may struggle to choose the right one. With a simple “Welcome to [insert names here] Wedding” sign, however, you can prevent this from happening.

Colored Glassware

Instead of using traditional crystal glassware at your reception, try using colored glassware. It serves the same basic purpose but adds a touch of color to the environment. Think about what other colors are included in your wedding decor and use a matching color for the glassware. If you are using peonies as the main flower variety, try using a similar pink or red-colored glassware. Although simple, colored glassware leaves a big impression on your wedding decor.


The popular wedding website TheKnot recommends draping white linens across the ceiling to create a rustic-themed wedding. White linens are inexpensive and make wonderful decorations for a wedding. If your wedding is indoors, you can run them along the ceilings as described by TheKnot, to create more festive environment. But even if your wedding is outdoors, you can still follow a similar approach by running white linens along the top of the pavilion or gazebo.

== Next to the article, the page also holds calculated crystals ==
Theoretical X-ray powder pattern
Compound: Ba2CaCu2MoO8
Radiation: Cu Kα, 1.54184 Å
Structure: a DFT-relaxed cell (PBE+U, Alexandria)
Kinematic intensities with the Lorentz-polarization factor, no thermal factor.

Atomic structure:
Cell lengths 3.927, 3.927, 12.412 Å; angles 90.00, 90.00, 90.00 degrees
Fractional positions:
Ba  0.000  0.000  0.213
Ba  0.000  0.000  0.787
Ca  0.000  0.000  0.500
Cu  0.500  0.500  0.378
Cu  0.500  0.500  0.622
Mo  0.500  0.500  0.000
O  0.000  0.500  0.000
O  0.000  0.500  0.374
O  0.000  0.500  0.626
O  0.500  0.000  0.000
O  0.500  0.000  0.374
O  0.500  0.000  0.626
O  0.500  0.500  0.154
O  0.500  0.500  0.846

Peak list (10 most intense, 15 to 90 degrees two-theta, most intense first)
- d = 2.848 Å, intensity 100
- d = 3.318 Å, intensity 88
- d = 2.777 Å, intensity 77
- d = 1.964 Å, intensity 54
- d = 1.616 Å, intensity 51
- d = 2.435 Å, intensity 32
- d = 2.482 Å, intensity 30
- d = 1.690 Å, intensity 25
- d = 1.540 Å, intensity 25
- d = 1.851 Å, intensity 24

~~~~~

[1]
Theoretical PXRD pattern of TiGaNi for copper Kα, from a DFT-relaxed cell (GGA-PBE, the Materials Project).
Neutral-atom scattering factors, no anomalous dispersion.

Largest 6 diffraction maxima, sorted by position, 2θ from 5° to 70°:
2θ = 39.12°, I 100.0
2θ = 40.46°, I 40.6
2θ = 42.12°, I 74.4
2θ = 46.16°, I 72.0
2θ = 50.26°, I 42.1
2θ = 59.11°, I 19.0

abc: 6.8117 6.8117 3.1257
angles: 90.00 90.00 120.00
Space group P-62m (No. 189)
Unique sites:
Ti (0.0000, 0.6078, 0.0000) x3
Ga (0.0000, 0.2741, 0.5000) x3
Ni (0.0000, 0.0000, 0.0000) x1
Ni (0.3333, 0.6667, 0.5000) x2

[2]
Theoretical PXRD pattern of LiAlGe for copper Kα, from a DFT-relaxed cell (GGA-PBE, the Materials Project).
Neutral-atom scattering factors, no anomalous dispersion.

Largest 6 diffraction maxima, sorted by position, 2θ from 5° to 70°:
2θ = 26.24°, I 47.2
2θ = 30.39°, I 100.0
2θ = 43.52°, I 89.6
2θ = 51.53°, I 22.5
2θ = 54.01°, I 25.5
2θ = 63.24°, I 14.4

abc: 5.882 5.882 5.882
angles: 90.00 90.00 90.00
Space group F-43m (No. 216)
Unique sites:
Li (0.000, 0.000, 0.000) x4
Al (0.250, 0.250, 0.750) x4
Ge (0.250, 0.250, 0.250) x4

[3]
Theoretical PXRD pattern of Ti3O2 for copper Kα, from a DFT-relaxed cell (GGA-PBE, the Materials Project).
Neutral-atom scattering factors, no anomalous dispersion.

Largest 6 diffraction maxima, sorted by position, 2θ from 5° to 70°:
2θ = 34.99°, I 6.7
2θ = 36.09°, I 17.3
2θ = 39.53°, I 100.0
2θ = 51.15°, I 29.6
2θ = 62.76°, I 21.3
2θ = 67.21°, I 17.8

abc: 5.1285 5.1285 14.9313
angles: 90.00 90.00 120.00
Space group R-3c (No. 167, hexagonal axes)
Unique sites:
Ti (0.0000, 0.3301, 0.2500) x18
O (0.0000, 0.0000, 0.1623) x12

[4]
Theoretical PXRD pattern of Hf3Tl for copper Kα, from a DFT-relaxed cell (GGA-PBE, the Materials Project).
Neutral-atom scattering factors, no anomalous dispersion.

Largest 6 diffraction maxima, sorted by position, 2θ from 5° to 70°:
2θ = 34.85°, I 100.0
2θ = 38.07°, I 19.7
2θ = 41.61°, I 30.8
2θ = 57.67°, I 23.9

Votive Candles

We can’t talk about wedding decorations without mentioning votive candles. Small, inexpensive and available in dozens of different colors, couples can decorate their reception with votives. Just place a couple at each table and you’re good to go!